Asean has a cross-border payments dream that is slowly moving closer to coming true. Despite the very real interoperability challenges, Southeast Asian countries nonetheless seem determined to build a payments rail of their own that can boost the use of local currencies – perhaps at the dollar’s expense – while speeding up transaction time, lowering transaction costs and strengthening connectivity among their respective financial systems. The latest countries to sign onto this project are the Philippines, Vietnam and Brunei.

In late August, Indonesian central bank governor Perry Warjiyo said that the Philippines, Brunei and Vietnam will join Indonesia, Thailand, Malaysia and Singapore in an interconnected QR code-based payment system. However, those three countries have to take certain steps before they can join. For instance, the Philippines must consolidate its QR payment industry. For its part, Vietnam officially joined the initiative on the sidelines of the recently concluded 10th ASEAN Finance Ministers’ and Central Bank Governors’ Meeting in Indonesia, but it too must set up a national QR payment system. For its part, Brunei plan to establish a national regulatory framework to give its financial authorities the power to regulate and oversee domestic payment systems.

We have reason to believe that Asean will at least partially achieve its regional payment connectivity objective because, on the one hand, it’s already almost halfway there, and on the other, the persistent strength of the dollar in recent years has weakened Southeast Asian currencies, with adverse affects owing to their tendency to be net food and energy importers. Central bankers thus are highly motivated to use local currencies for more transactions.

However, if the greenback becomes less widely used, another currency from the region may take its place, acting as a de facto reserve currency. The most obvious candidate is the Singapore dollar because of the city-state’s strength as a financial center and overall economic prowess. If businesses were to decide to hold more working capital in Singapore dollars, it might weaken the purchasing power of other currencies in the region. Central banks might have to intervene.  

(Crystal structures from another source follow)
=====
Record 1
Cs4FeO4 | r2SCAN | optimized geometry

Cell and atoms, written as POSCAR:
```
Cs4FeO4
1.0
10.875 0.000 0.000
0.000 6.920 0.000
-1.784 0.000 11.431
Cs Fe O
16 4 16
direct
0.065 0.081 0.325
0.065 0.419 0.825
0.160 0.620 0.509
0.160 0.880 0.009
0.391 0.707 0.788
0.391 0.793 0.288
0.406 0.232 0.931
0.406 0.268 0.431
0.594 0.732 0.569
0.594 0.768 0.069
0.609 0.207 0.712
0.609 0.293 0.212
0.840 0.120 0.991
0.840 0.380 0.491
0.935 0.581 0.175
0.935 0.919 0.675
0.240 0.129 0.646
0.240 0.371 0.146
0.760 0.629 0.854
0.760 0.871 0.354
0.094 0.224 0.579
0.094 0.276 0.079
0.198 0.505 0.268
0.198 0.995 0.768
0.335 0.155 0.165
0.335 0.345 0.665
0.339 0.537 0.080
0.339 0.963 0.580
0.661 0.037 0.420
0.661 0.463 0.920
0.665 0.655 0.335
0.665 0.845 0.835
0.802 0.005 0.232
0.802 0.495 0.732
0.906 0.724 0.921
0.906 0.776 0.421
```

Output
Calculated formation energy in meV per atom: -1534
Volume in Å³/atom: 23.9
ρ in g/cm³: 5.0
Space group: P2_1/c, No. 14

***

Record 2
Cs8Fe2O7 | r2SCAN | optimized geometry

Cell and atoms, written as POSCAR:
```
Cs8Fe2O7
1.0
7.390 0.000 0.000
0.000 18.034 0.000
-3.498 0.000 6.318
Cs Fe O
16 4 14
direct
0.140 0.083 0.146
0.140 0.417 0.646
0.254 0.714 0.210
0.254 0.786 0.710
0.271 0.508 0.231
0.271 0.992 0.731
0.282 0.192 0.736
0.282 0.308 0.236
0.718 0.692 0.764
0.718 0.808 0.264
0.729 0.008 0.269
0.729 0.492 0.769
0.746 0.214 0.290
0.746 0.286 0.790
0.860 0.583 0.354
0.860 0.917 0.854
0.362 0.595 0.862
0.362 0.905 0.362
0.638 0.095 0.638
0.638 0.405 0.138
0.097 0.598 0.838
0.097 0.902 0.338
0.348 0.605 0.595
0.348 0.895 0.095
0.471 0.173 0.460
0.471 0.327 0.960
0.500 0.000 0.500
0.500 0.500 0.000
0.529 0.673 0.040
0.529 0.827 0.540
0.652 0.105 0.905
0.652 0.395 0.405
0.903 0.098 0.662
0.903 0.402 0.162
```

Output
Calculated formation energy in meV per atom: -1477
Volume in Å³/atom: 24.8
ρ in g/cm³: 5.1
Space group: P2_1/c, No. 14


VASP calculation (PBE) on an optimized crystal structure of Ga2Te2Br7.

ΔE_f: -1010 meV/atom
calculated total energy: -2.834 eV/atom

abc: 10.473 11.739 14.376
angles: 90.00 98.87 90.00
Sites, in units of the cell vectors:
Ga1 0.094 0.183 0.181
Ga2 0.094 0.317 0.681
Ga3 0.284 0.608 0.336
Ga4 0.284 0.892 0.836
Ga5 0.716 0.108 0.164
Ga6 0.716 0.392 0.664
Ga7 0.906 0.683 0.319
Ga8 0.906 0.817 0.819
Te1 0.351 0.057 0.548
Te2 0.351 0.443 0.048
Te3 0.420 0.036 0.373
Te4 0.420 0.464 0.873
Te5 0.580 0.536 0.127
Te6 0.580 0.964 0.627
Te7 0.649 0.557 0.952
Te8 0.649 0.943 0.452
Br1 0.014 0.146 0.616
Br2 0.014 0.354 0.116
Br3 0.070 0.532 0.367
Br4 0.070 0.968 0.867
Br5 0.133 0.177 0.348
Br6 0.133 0.323 0.848
Br7 0.255 0.742 0.216
Br8 0.255 0.758 0.716
Br9 0.276 0.119 0.120
Br10 0.276 0.381 0.620
Br11 0.381 0.060 0.785
Br12 0.381 0.440 0.285
Br13 0.387 0.670 0.481
Br14 0.387 0.830 0.981
Br15 0.613 0.170 0.019
Br16 0.613 0.330 0.519
Br17 0.619 0.560 0.715
Br18 0.619 0.940 0.215
Br19 0.724 0.619 0.380
Br20 0.724 0.881 0.880
Br21 0.745 0.242 0.284
Br22 0.745 0.258 0.784
Br23 0.867 0.677 0.152
=====

Another concern is that such a regional payments system might have limited financial inclusion capabilities – limited because it’s unlikely to dramatically improve on already successful efforts in countries like Indonesia, the Philippines and Vietnam, and the system might not extend to the region’s poorest countries for different reasons. Myanmar, for instance, is under sanctions and on the FATF blacklist. At present, there are both legal and regulatory barriers that would prevent it from joining a regional Asean payments system. Additionally, it is uncertain if Cambodia and Laos have the digital financial infrastructure and wherewithal to participate.

With that in mind, whether Asean can achieve its dream of regional payments connectivity will probably depend on how ambitious it wants to be.